Brief:
What is needed: print the notes further below character by character.
Data:
C24H24BrCoN5O2 as an isolated structure in a non-equilibrium geometry. Source: the OMol25 dataset; level of theory: ωB97M-V/def2-TZVPD.

```
! RIJCOSX wB97M-V def2-TZVPD def2/J DEFGRID3
* xyz 1 1
Co -0.1111 -0.0955 0.1768
Br 0.2285 3.4620 0.8468
C -0.3198 2.2359 2.1673
C -0.5414 2.7216 3.4438
C -1.0595 1.8654 4.4009
C -1.3762 0.5666 4.0451
C -1.1118 0.1613 2.7569
N -0.5556 0.9625 1.8312
C -1.4499 -1.2173 2.2693
O -2.0196 -2.0137 2.9644
O -1.0473 -1.4124 1.0396
H -0.3216 3.7542 3.6694
H -1.2370 2.2228 5.4065
H -1.8269 -0.1419 4.7255
C 0.1848 -2.0762 -5.1646
C 0.9622 -1.2203 -4.1614
C 1.6459 -2.0315 -3.0757
C 2.7433 -2.7944 -3.4642
C 3.5054 -3.4854 -2.5446
C 3.1987 -3.3819 -1.1992
C 2.1217 -2.6253 -0.7574
C 1.8695 -2.6044 0.7309
C 1.0503 -3.8080 1.1934
C 1.3126 -1.9881 -1.7108
N 0.1689 -1.2123 -1.3248
C -0.9496 -1.2831 -1.9864
C -1.9147 -0.3017 -1.7073
C -3.2149 -0.0397 -2.1051
C -3.6102 1.1076 -1.3939
C -2.5424 1.4862 -0.5931
N -1.4965 0.6554 -0.8058
H -0.1768 -1.4638 -5.9904
H -0.6775 -2.5619 -4.7044
H 0.8183 -2.8600 -5.5792
H 0.3014 -0.4630 -3.7399
H 1.7446 -0.6838 -4.7033
H 3.0163 -2.8162 -4.5129
H 4.3490 -4.0792 -2.8702
H 3.8052 -3.8996 -0.4652
H 1.3553 -1.6884 1.0283
H 2.8346 -2.5924 1.2414
H 0.0629 -3.8039 0.7355
H 0.9145 -3.7990 2.2755
H 1.5590 -4.7326 0.9184
H -1.1255 -2.0684 -2.7149
H -3.7917 -0.6089 -2.8167
H -4.5592 1.6144 -1.4482
H -2.4770 2.3274 0.0790
N 3.2596 1.9279 -0.9229
C 3.6282 1.6706 0.3777
C 2.6159 0.9442 0.9111
N 1.6469 0.7603 -0.0534
C 2.0653 1.3624 -1.1451
H 3.7944 2.4512 -1.5963
H 4.5560 2.0154 0.7970
H 2.5225 0.5397 1.9045
H 1.5352 1.4040 -2.0823
*
```

Output
- Calculated total energy: -5309.83176 hartree
- Orbital gap (alpha / beta): 6.8 / 6.4 eV

=====

C26H24Cl5NOP2Y as an isolated structure in a non-equilibrium geometry. Source: the OMol25 dataset; level of theory: ωB97M-V/def2-TZVPD.

```
! RIJCOSX wB97M-V def2-TZVPD def2/J DEFGRID3
* xyz 1 1
C -1.8524 2.7863 -3.8018
C -1.5596 1.4844 -3.3929
C -0.1977 1.0278 -3.5382
C 0.7987 2.0343 -3.3743
C 0.4935 3.3700 -3.6510
C -0.8192 3.7219 -3.9649
C 1.9948 1.5839 -2.6196
C 2.4428 0.2543 -3.1048
C 1.3882 -0.6828 -3.2964
C 1.6837 -2.0388 -2.9131
C 3.0062 -2.4691 -3.0009
C 4.0470 -1.5393 -3.1206
C 3.7714 -0.1747 -3.0955
H -2.8915 3.0829 -3.9416
H 1.2888 4.1149 -3.6290
H -1.0531 4.7324 -4.2966
H 2.7836 2.3257 -2.5948
H 3.2366 -3.5349 -2.9087
H 5.0764 -1.8850 -3.1932
H 4.5717 0.5657 -3.0564
N 0.1146 -0.2941 -3.5916
Y 0.6664 0.7589 0.4158
C -2.5071 0.6365 -2.5951
H -2.4304 -0.4159 -2.9045
H -3.5407 1.0010 -2.6719
C 0.6016 -2.8056 -2.2093
H -0.3450 -2.7438 -2.7683
H 0.8914 -3.8546 -2.0451
P -1.9988 0.6947 -0.7578
P 0.2744 -2.0010 -0.5242
C 1.5230 -2.9108 0.4694
H 1.3686 -2.7006 1.5381
H 1.3950 -3.9884 0.2814
H 2.5374 -2.5995 0.1846
C -1.2049 -3.0009 -0.1437
H -0.9036 -4.0517 -0.0346
H -1.6615 -2.6456 0.7867
H -1.9282 -2.9148 -0.9664
C -2.6453 2.3560 -0.3266
H -3.5998 2.5230 -0.8482
H -2.8091 2.4077 0.7588
H -1.9282 3.1384 -0.6082
C -3.3747 -0.3242 -0.1376
H -3.2506 -0.4722 0.9395
H -4.3216 0.1955 -0.3357
H -3.3880 -1.3019 -0.6316
C -0.7433 -0.3621 1.9619
O -1.3686 -0.8459 2.8115
H 1.5847 1.3949 -1.3988
Cl 3.2936 0.4133 1.4110
C 3.2527 2.1858 1.1375
C 2.0413 2.6936 0.6959
C 1.9243 4.0401 0.3989
Cl 0.4212 4.5868 -0.2771
C 3.0169 4.9141 0.5856
Cl 2.8539 6.5725 0.2159
C 4.2589 4.3911 1.0361
Cl 5.6017 5.4172 1.2418
C 4.3828 3.0008 1.3008
Cl 5.8800 2.3029 1.7512
*
```

Output
- Calculated total energy: -4156.86046 hartree
- Orbital gap (alpha / beta): 6.6 / 4.4 eV
- ΔE to the lowest compared entry with this formula, charge and spin: 4.3376 eV

=====

C6H20LiN4O6 as an isolated structure in a non-equilibrium geometry. Source: the OMol25 dataset; level of theory: ωB97M-V/def2-TZVPD.

```
! RIJCOSX wB97M-V def2-TZVPD def2/J DEFGRID3
* xyz 1 1
Li 0.1603 0.3011 -0.0513
C 1.6182 -2.5769 3.3638
C 0.8939 -3.9330 3.4699
O 0.2585 -4.0140 4.7264
O 0.6652 -1.5755 3.1994
H 2.2451 -2.6835 2.4785
H 2.2819 -2.3020 4.1836
H 1.5772 -4.7820 3.4873
H 0.1304 -4.0805 2.7060
Response:
C24H24BrCoN5O2 as an isolated structure in a non-equilibrium geometry. Source: the OMol25 dataset; level of theory: ωB97M-V/def2-TZVPD.

```
! RIJCOSX wB97M-V def2-TZVPD def2/J DEFGRID3
* xyz 1 1
Co -0.1111 -0.0955 0.1768
Br 0.2285 3.4620 0.8468
C -0.3198 2.2359 2.1673
C -0.5414 2.7216 3.4438
C -1.0595 1.8654 4.4009
C -1.3762 0.5666 4.0451
C -1.1118 0.1613 2.7569
N -0.5556 0.9625 1.8312
C -1.4499 -1.2173 2.2693
O -2.0196 -2.0137 2.9644
O -1.0473 -1.4124 1.0396
H -0.3216 3.7542 3.6694
H -1.2370 2.2228 5.4065
H -1.8269 -0.1419 4.7255
C 0.1848 -2.0762 -5.1646
C 0.9622 -1.2203 -4.1614
C 1.6459 -2.0315 -3.0757
C 2.7433 -2.7944 -3.4642
C 3.5054 -3.4854 -2.5446
C 3.1987 -3.3819 -1.1992
C 2.1217 -2.6253 -0.7574
C 1.8695 -2.6044 0.7309
C 1.0503 -3.8080 1.1934
C 1.3126 -1.9881 -1.7108
N 0.1689 -1.2123 -1.3248
C -0.9496 -1.2831 -1.9864
C -1.9147 -0.3017 -1.7073
C -3.2149 -0.0397 -2.1051
C -3.6102 1.1076 -1.3939
C -2.5424 1.4862 -0.5931
N -1.4965 0.6554 -0.8058
H -0.1768 -1.4638 -5.9904
H -0.6775 -2.5619 -4.7044
H 0.8183 -2.8600 -5.5792
H 0.3014 -0.4630 -3.7399
H 1.7446 -0.6838 -4.7033
H 3.0163 -2.8162 -4.5129
H 4.3490 -4.0792 -2.8702
H 3.8052 -3.8996 -0.4652
H 1.3553 -1.6884 1.0283
H 2.8346 -2.5924 1.2414
H 0.0629 -3.8039 0.7355
H 0.9145 -3.7990 2.2755
H 1.5590 -4.7326 0.9184
H -1.1255 -2.0684 -2.7149
H -3.7917 -0.6089 -2.8167
H -4.5592 1.6144 -1.4482
H -2.4770 2.3274 0.0790
N 3.2596 1.9279 -0.9229
C 3.6282 1.6706 0.3777
C 2.6159 0.9442 0.9111
N 1.6469 0.7603 -0.0534
C 2.0653 1.3624 -1.1451
H 3.7944 2.4512 -1.5963
H 4.5560 2.0154 0.7970
H 2.5225 0.5397 1.9045
H 1.5352 1.4040 -2.0823
*
```

Output
- Calculated total energy: -5309.83176 hartree
- Orbital gap (alpha / beta): 6.8 / 6.4 eV

=====

C26H24Cl5NOP2Y as an isolated structure in a non-equilibrium geometry. Source: the OMol25 dataset; level of theory: ωB97M-V/def2-TZVPD.

```
! RIJCOSX wB97M-V def2-TZVPD def2/J DEFGRID3
* xyz 1 1
C -1.8524 2.7863 -3.8018
C -1.5596 1.4844 -3.3929
C -0.1977 1.0278 -3.5382
C 0.7987 2.0343 -3.3743
C 0.4935 3.3700 -3.6510
C -0.8192 3.7219 -3.9649
C 1.9948 1.5839 -2.6196
C 2.4428 0.2543 -3.1048
C 1.3882 -0.6828 -3.2964
C 1.6837 -2.0388 -2.9131
C 3.0062 -2.4691 -3.0009
C 4.0470 -1.5393 -3.1206
C 3.7714 -0.1747 -3.0955
H -2.8915 3.0829 -3.9416
H 1.2888 4.1149 -3.6290
H -1.0531 4.7324 -4.2966
H 2.7836 2.3257 -2.5948
H 3.2366 -3.5349 -2.9087
H 5.0764 -1.8850 -3.1932
H 4.5717 0.5657 -3.0564
N 0.1146 -0.2941 -3.5916
Y 0.6664 0.7589 0.4158
C -2.5071 0.6365 -2.5951
H -2.4304 -0.4159 -2.9045
H -3.5407 1.0010 -2.6719
C 0.6016 -2.8056 -2.2093
H -0.3450 -2.7438 -2.7683
H 0.8914 -3.8546 -2.0451
P -1.9988 0.6947 -0.7578
P 0.2744 -2.0010 -0.5242
C 1.5230 -2.9108 0.4694
H 1.3686 -2.7006 1.5381
H 1.3950 -3.9884 0.2814
H 2.5374 -2.5995 0.1846
C -1.2049 -3.0009 -0.1437
H -0.9036 -4.0517 -0.0346
H -1.6615 -2.6456 0.7867
H -1.9282 -2.9148 -0.9664
C -2.6453 2.3560 -0.3266
H -3.5998 2.5230 -0.8482
H -2.8091 2.4077 0.7588
H -1.9282 3.1384 -0.6082
C -3.3747 -0.3242 -0.1376
H -3.2506 -0.4722 0.9395
H -4.3216 0.1955 -0.3357
H -3.3880 -1.3019 -0.6316
C -0.7433 -0.3621 1.9619
O -1.3686 -0.8459 2.8115
H 1.5847 1.3949 -1.3988
Cl 3.2936 0.4133 1.4110
C 3.2527 2.1858 1.1375
C 2.0413 2.6936 0.6959
C 1.9243 4.0401 0.3989
Cl 0.4212 4.5868 -0.2771
C 3.0169 4.9141 0.5856
Cl 2.8539 6.5725 0.2159
C 4.2589 4.3911 1.0361
Cl 5.6017 5.4172 1.2418
C 4.3828 3.0008 1.3008
Cl 5.8800 2.3029 1.7512
*
```

Output
- Calculated total energy: -4156.86046 hartree
- Orbital gap (alpha / beta): 6.6 / 4.4 eV
- ΔE to the lowest compared entry with this formula, charge and spin: 4.3376 eV

=====

C6H20LiN4O6 as an isolated structure in a non-equilibrium geometry. Source: the OMol25 dataset; level of theory: ωB97M-V/def2-TZVPD.

```
! RIJCOSX wB97M-V def2-TZVPD def2/J DEFGRID3
* xyz 1 1
Li 0.1603 0.3011 -0.0513
C 1.6182 -2.5769 3.3638
C 0.8939 -3.9330 3.4699
O 0.2585 -4.0140 4.7264
O 0.6652 -1.5755 3.1994
H 2.2451 -2.6835 2.4785
H 2.2819 -2.3020 4.1836
H 1.5772 -4.7820 3.4873
H 0.1304 -4.0805 2.7060